### Brief
Please quote the whole of the listing further below without additions.

### Given
[1]
Simulated X-ray powder pattern of Cs4AgPb4 for Cu Kα (weighted mean of Kα1 and Kα2), from the PBE geometry in Alexandria.

Structural model:
Unit cell a=7.7946 b=7.7946 c=16.9767 alpha=90.00 beta=90.00 gamma=90.00
Space group I-42m (No. 121)
One atom of each set of equivalent atoms:
Cs: 0.1781 0.1781 0.3742
Ag: 0.0000 0.0000 0.0000
Pb: 0.1345 0.1345 0.1467

Main lines, by angle (15 to 90 degrees two-theta):
(hkl), d_spacing, intensity
1 1 0, 5.512, 43
0 0 4, 4.244, 44
2 1 1, 3.415, 100
2 1 3, 2.968, 28
2 0 4, 2.871, 15
2 1 5, 2.432, 53
3 1 2, 2.366, 20
1 0 7, 2.314, 13
3 1 4, 2.131, 26
4 1 3, 1.793, 14
4 0 4, 1.771, 12
2 1 9, 1.659, 16

[2]
Simulated X-ray powder pattern of MnCu2Sn3S8 for Cu Kα (weighted mean of Kα1 and Kα2), from the PBE geometry in Alexandria.

Structural model:
Unit cell a=7.4459 b=7.4459 c=18.0410 alpha=90.00 beta=90.00 gamma=120.00
Space group R-3m (No. 166, hexagonal axes)
One atom of each set of equivalent atoms:
Mn: 0.0000 0.0000 0.0000
Cu: 0.0000 0.0000 0.3840
Sn: 0.0000 0.5000 0.5000
S: 0.0000 0.0000 0.2515
S: 0.0148 0.5074 0.7483

Main lines, by angle (15 to 90 degrees two-theta):
(hkl), d_spacing, intensity
1 0 4, 3.696, 19
0 2 1, 3.170, 100
0 1 5, 3.149, 27
0 2 4, 2.623, 59
0 3 3, 2.024, 12
1 2 5, 2.020, 19
0 2 7, 2.013, 11
2 2 0, 1.861, 46
2 0 8, 1.848, 44
4 0 4, 1.518, 10
2 2 9, 1.364, 12
0 4 8, 1.311, 14

[3]
Simulated X-ray powder pattern of RbNdTeI for Cu Kα (weighted mean of Kα1 and Kα2), from the PBE geometry in Alexandria.

Structural model:
Unit cell a=4.5317 b=4.5317 c=26.8970 alpha=90.00 beta=90.00 gamma=120.00
Space group R3m (No. 160, hexagonal axes)
One atom of each set of equivalent atoms:
Rb: 0.0000 0.0000 0.0000
Nd: 0.0000 0.0000 0.1808
Te: 0.0000 0.0000 0.5794
I: 0.0000 0.0000 0.7704

Main lines, by angle (15 to 90 degrees two-theta):
(hkl), d_spacing, intensity
0 1 2, 3.767, 27
1 0 4, 3.390, 9
0 1 5, 3.171, 100
1 0 7, 2.746, 25
1 1 0, 2.266, 43
1 0 10, 2.219, 28
2 0 5, 1.843, 21
1 1 12, 1.593, 15
0 2 10, 1.585, 10
1 2 5, 1.430, 18
1 1 15, 1.406, 8
2 1 10, 1.299, 10

[4]
Simulated X-ray powder pattern of Cd2B3Rh9 for Cu Kα (weighted mean of Kα1 and Kα2), from the PBE geometry in Alexandria.

Structural model:
Unit cell a=12.9553 b=6.7382 c=9.5308 alpha=90.00 beta=115.31 gamma=90.00
Space group C2/c (No. 15)
One atom of each set of equivalent atoms:
Cd: 0.1879 0.0900 0.2521
B: 0.0987 0.3027 0.5050
B: 0.2500 0.2500 0.0000
Rh: 0.0000 0.3643 0.2500
Rh: 0.0500 0.0150 0.4058
Rh: 0.0914 0.3713 0.0338
Rh: 0.1064 0.2852 0.7360
Rh: 0.2253 0.4326 0.4346

Main lines, by angle (15 to 90 degrees two-theta):
(hkl), d_spacing, intensity
2 2 1, 2.602, 30
5 1 -1, 2.387, 49
2 2 -3, 2.308, 51
3 1 2, 2.280, 100
5 1 -3, 2.245, 35
3 1 -4, 2.228, 91
4 2 0, 2.210, 41
1 3 0, 2.206, 47
0 2 3, 2.186, 32
1 3 -1, 2.179, 42
6 0 -2, 2.157, 80
3 3 -1, 1.992, 66

* * * * *

[1]
Structure and computed XRD peak list of VZnAs2O7 (the GGA+U geometry in the Materials Project; Cu Kα (λ = 1.5418 Å)).

Crystal structure
Cell: 7.8495 8.1685 11.0713 Å, 90.00 121.21 90.00°
Space group P2_1/c (No. 14)
Symmetry-distinct sites (fractional):
V1 0.1899 0.0567 0.2948 [4 per cell]
Zn1 0.2619 0.0674 0.8802 [4 per cell]
As1 0.0294 0.7108 0.9632 [4 per cell]
As2 0.4519 0.7140 0.2626 [4 per cell]
O1 0.0094 0.5816 0.8244 [4 per cell]
O2 0.0530 0.5951 0.3842 [4 per cell]
O3 0.2380 0.1987 0.4210 [4 per cell]
O4 0.3020 0.6546 0.0856 [4 per cell]
O5 0.3204 0.2342 0.2220 [4 per cell]
O6 0.3567 0.6048 0.7809 [4 per cell]
O7 0.4688 0.5727 0.3835 [4 per cell]

Most intense lines, 15 to 90 degrees two-theta, in order of rising 2θ:
hkl 2 1 -2, 25.69 deg, I 92.8; hkl 1 1 -3, 26.54 deg, I 15.1; hkl 1 2 -2, 27.36 deg, I 100.0; hkl 1 0 2, 28.13 deg, I 63.7; hkl 3 0 -2, 34.30 deg, I 20.4; hkl 2 2 0, 34.59 deg, I 25.6; hkl 1 1 -4, 34.79 deg, I 21.0; hkl 3 1 0, 41.86 deg, I 18.8; hkl 0 2 4, 44.22 deg, I 14.7; hkl 3 3 -4, 51.48 deg, I 22.2

[2]

### Worked solution
[1]
Simulated X-ray powder pattern of Cs4AgPb4 for Cu Kα (weighted mean of Kα1 and Kα2), from the PBE geometry in Alexandria.

Structural model:
Unit cell a=7.7946 b=7.7946 c=16.9767 alpha=90.00 beta=90.00 gamma=90.00
Space group I-42m (No. 121)
One atom of each set of equivalent atoms:
Cs: 0.1781 0.1781 0.3742
Ag: 0.0000 0.0000 0.0000
Pb: 0.1345 0.1345 0.1467

Main lines, by angle (15 to 90 degrees two-theta):
(hkl), d_spacing, intensity
1 1 0, 5.512, 43
0 0 4, 4.244, 44
2 1 1, 3.415, 100
2 1 3, 2.968, 28
2 0 4, 2.871, 15
2 1 5, 2.432, 53
3 1 2, 2.366, 20
1 0 7, 2.314, 13
3 1 4, 2.131, 26
4 1 3, 1.793, 14
4 0 4, 1.771, 12
2 1 9, 1.659, 16

[2]
Simulated X-ray powder pattern of MnCu2Sn3S8 for Cu Kα (weighted mean of Kα1 and Kα2), from the PBE geometry in Alexandria.

Structural model:
Unit cell a=7.4459 b=7.4459 c=18.0410 alpha=90.00 beta=90.00 gamma=120.00
Space group R-3m (No. 166, hexagonal axes)
One atom of each set of equivalent atoms:
Mn: 0.0000 0.0000 0.0000
Cu: 0.0000 0.0000 0.3840
Sn: 0.0000 0.5000 0.5000
S: 0.0000 0.0000 0.2515
S: 0.0148 0.5074 0.7483

Main lines, by angle (15 to 90 degrees two-theta):
(hkl), d_spacing, intensity
1 0 4, 3.696, 19
0 2 1, 3.170, 100
0 1 5, 3.149, 27
0 2 4, 2.623, 59
0 3 3, 2.024, 12
1 2 5, 2.020, 19
0 2 7, 2.013, 11
2 2 0, 1.861, 46
2 0 8, 1.848, 44
4 0 4, 1.518, 10
2 2 9, 1.364, 12
0 4 8, 1.311, 14

[3]
Simulated X-ray powder pattern of RbNdTeI for Cu Kα (weighted mean of Kα1 and Kα2), from the PBE geometry in Alexandria.

Structural model:
Unit cell a=4.5317 b=4.5317 c=26.8970 alpha=90.00 beta=90.00 gamma=120.00
Space group R3m (No. 160, hexagonal axes)
One atom of each set of equivalent atoms:
Rb: 0.0000 0.0000 0.0000
Nd: 0.0000 0.0000 0.1808
Te: 0.0000 0.0000 0.5794
I: 0.0000 0.0000 0.7704

Main lines, by angle (15 to 90 degrees two-theta):
(hkl), d_spacing, intensity
0 1 2, 3.767, 27
1 0 4, 3.390, 9
0 1 5, 3.171, 100
1 0 7, 2.746, 25
1 1 0, 2.266, 43
1 0 10, 2.219, 28
2 0 5, 1.843, 21
1 1 12, 1.593, 15
0 2 10, 1.585, 10
1 2 5, 1.430, 18
1 1 15, 1.406, 8
2 1 10, 1.299, 10

[4]
Simulated X-ray powder pattern of Cd2B3Rh9 for Cu Kα (weighted mean of Kα1 and Kα2), from the PBE geometry in Alexandria.

Structural model:
Unit cell a=12.9553 b=6.7382 c=9.5308 alpha=90.00 beta=115.31 gamma=90.00
Space group C2/c (No. 15)
One atom of each set of equivalent atoms:
Cd: 0.1879 0.0900 0.2521
B: 0.0987 0.3027 0.5050
B: 0.2500 0.2500 0.0000
Rh: 0.0000 0.3643 0.2500
Rh: 0.0500 0.0150 0.4058
Rh: 0.0914 0.3713 0.0338
Rh: 0.1064 0.2852 0.7360
Rh: 0.2253 0.4326 0.4346

Main lines, by angle (15 to 90 degrees two-theta):
(hkl), d_spacing, intensity
2 2 1, 2.602, 30
5 1 -1, 2.387, 49
2 2 -3, 2.308, 51
3 1 2, 2.280, 100
5 1 -3, 2.245, 35
3 1 -4, 2.228, 91
4 2 0, 2.210, 41
1 3 0, 2.206, 47
0 2 3, 2.186, 32
1 3 -1, 2.179, 42
6 0 -2, 2.157, 80
3 3 -1, 1.992, 66

* * * * *

[1]
Structure and computed XRD peak list of VZnAs2O7 (the GGA+U geometry in the Materials Project; Cu Kα (λ = 1.5418 Å)).

Crystal structure
Cell: 7.8495 8.1685 11.0713 Å, 90.00 121.21 90.00°
Space group P2_1/c (No. 14)
Symmetry-distinct sites (fractional):
V1 0.1899 0.0567 0.2948 [4 per cell]
Zn1 0.2619 0.0674 0.8802 [4 per cell]
As1 0.0294 0.7108 0.9632 [4 per cell]
As2 0.4519 0.7140 0.2626 [4 per cell]
O1 0.0094 0.5816 0.8244 [4 per cell]
O2 0.0530 0.5951 0.3842 [4 per cell]
O3 0.2380 0.1987 0.4210 [4 per cell]
O4 0.3020 0.6546 0.0856 [4 per cell]
O5 0.3204 0.2342 0.2220 [4 per cell]
O6 0.3567 0.6048 0.7809 [4 per cell]
O7 0.4688 0.5727 0.3835 [4 per cell]

Most intense lines, 15 to 90 degrees two-theta, in order of rising 2θ:
hkl 2 1 -2, 25.69 deg, I 92.8; hkl 1 1 -3, 26.54 deg, I 15.1; hkl 1 2 -2, 27.36 deg, I 100.0; hkl 1 0 2, 28.13 deg, I 63.7; hkl 3 0 -2, 34.30 deg, I 20.4; hkl 2 2 0, 34.59 deg, I 25.6; hkl 1 1 -4, 34.79 deg, I 21.0; hkl 3 1 0, 41.86 deg, I 18.8; hkl 0 2 4, 44.22 deg, I 14.7; hkl 3 3 -4, 51.48 deg, I 22.2

[2]